I don’t like to write about vegetable blight. Usually, when someone starts asking about it, it’s already too late. That’s especially true in smaller gardens where you may only have a few tomato plants, which could be infected before you realize it.
Fortunately, there’s more than one kind of blight. I know that sounds strange. You’re undoubtedly wondering what’s gotten into my head that I’m happy that there are multiple types of blight. The thing is, vegetable blight, like Sharknado movies, can be either bad but bearable or absolutely terrible. Let me explain.
Discover 7 top tips for growing, harvesting, and enjoying tomatoes from your home garden—when you access the FREE guide The Best Way to Grow Tomatoes, right now!
What is Vegetable Blight?
There are three different types of blight that may infect your tomatoes. One of the most common is early blight. Early blight won’t necessarily ruin your vegetables, but it will significantly limit production. Early blight starts as small brown or black lesions, often developing the appearance of a target or bull’s eye. The most frequent result of early blight is the loss of foliage.
Another common problem is septoria leaf spot. This vegetable blight primarily infects foliage, starting with circular lesions on the lower leaves. Leaf spot can spread rapidly and destroy foliage, but does not usually affect the fruit.
The most severe type of vegetable blight is late blight. Late blight (Phytophthora infestans) can spread rapidly and obliterate tomatoes and potatoes in a matter of days. Late blight was the pathogen responsible for the Irish potato famine in the 1840s.
The University of Massachusetts Extension Vegetable Program describes the tell-tale symptoms as “large (at least nickel-sized) olive-green to brown spots on leaves with slightly fuzzy white fungal growth on the underside when conditions have been humid (early morning or after rain). Sometimes the lesion border is yellow or has a water-soaked appearance. Brown to blackish lesions also develop on upper stems. Firm, brown spots develop on tomato fruit.”
If your tomatoes (or potatoes) are carrying late blight, the only thing you can do is destroy them, as well as a perimeter of healthy plants around them.
********
Record 1
This record from Alexandria via LeMat-Bulk describes a crystal of Sr2CaAu relaxed with PBEsol. The functional is meta-GGA SCAN.

```
4
Lattice="-3.433 -1.985 -1.134 1.038 -3.457 2.911 -4.555 5.397 4.340" Properties=species:S:1:pos:R:3 pbc="T T T"
Sr -2.913 1.391 6.384
Sr -3.850 0.947 2.498
Ca -1.866 -2.114 1.848
Au -1.285 -0.088 4.046
```

Properties
VASP energy (eV per atom): -31.3137
V (Å³/atom): 38.045
Size of the total moment (μB/f.u.): 0.1
Fermi-level density of states (states/eV/f.u.): 2.45
Formation enthalpy at 0 K (eV/atom): -0.47
Symmetry: Amm2, No. 38
Energy above the lowest structure with this stoichiometry (meV per atom): 4

=====

Record 2
This record from Alexandria via LeMat-Bulk describes a crystal of Zn2OsRu relaxed with PBEsol. The functional is meta-GGA SCAN.

```
4
Lattice="-0.109 2.303 1.885 -1.867 -1.522 1.751 4.648 -2.242 3.008" Properties=species:S:1:pos:R:3 pbc="T T T"
Os -0.988 0.391 1.818
Ru 1.336 -0.731 3.322
Zn 3.470 -1.674 2.246
Zn 1.177 -0.568 0.762
```

Properties
VASP energy (eV per atom): -33.1182
V (Å³/atom): 13.244
Size of the total moment (μB/f.u.): 2.0
Fermi-level density of states (states/eV/f.u.): 2.94
Formation enthalpy at 0 K (eV/atom): 0.32
Symmetry: P4/mmm, No. 123
Energy above the lowest structure with this stoichiometry (meV per atom): 185

=====

Record 3
This record from Alexandria via LeMat-Bulk describes a crystal of CoTc2AgN relaxed with PBEsol. The functional is meta-GGA SCAN.

```
5
Lattice="3.594 0.000 0.000 0.000 4.923 0.000 0.000 0.000 4.923" Properties=species:S:1:pos:R:3 pbc="T T T"
Co 1.797 2.461 2.461
Tc 0.000 0.000 2.461
Tc 0.000 2.461 0.000
Ag 0.000 0.000 0.000
N 1.797 0.000 0.000
```

Properties
E_form (uncorrected) (eV per formula unit): 12.32
VASP energy (eV per atom): -23.1526
V (Å³/atom): 17.418
Size of the total moment (μB/f.u.): 9.0
Fermi-level density of states (states/eV/f.u.): 3.62
Symmetry: P4/mmm, No. 123

=====

Record 4
This record from Alexandria via LeMat-Bulk describes a crystal of Sr2AlV11O22 relaxed with PBEsol. The functional is meta-GGA SCAN.

```
36
Lattice="5.704 0.000 0.000 -2.852 4.940 0.000 0.000 0.000 13.045" Properties=species:S:1:pos:R:3 pbc="T T T"
Sr 0.000 3.294 6.523
Sr 2.852 1.647 0.000
Al 0.000 3.294 0.000
V 0.000 0.000 5.182
V 0.000 0.000 1.307
V 0.000 0.000 11.738
V 0.000 0.000 7.863
V 1.459 2.451 9.776
V 2.852 0.038 9.776
V 4.245 2.451 9.776
V 1.459 2.451 3.269
V 2.852 0.038 3.269
V 4.245 2.451 3.269
V 2.852 1.647 6.523
O 0.000 3.294 10.896
O 2.852 1.647 8.578
O 2.852 1.647 4.467
O 0.000 3.294 2.149
O -1.377 4.088 8.719
O 0.000 1.703 8.720
O 1.377 4.088 8.719
O 4.253 0.838 10.851
O 2.852 3.264 10.852
O 1.452 0.838 10.851
O 4.253 0.838 2.194
O 2.852 3.264 2.194
O 1.452 0.838 2.194
O -1.377 4.088 4.326
O 0.000 1.703 4.325
O 1.377 4.088 4.326
O 4.413 0.746 6.523
O 2.852 3.449 6.523
O 1.291 0.746 6.523
O -1.521 4.172 0.000
O 0.000 1.537 0.000
O 1.521 4.172 0.000
```

Properties
E_form (uncorrected) (eV per formula unit): -101.78
********
So much for the data records:
Prevention is the Best Medicine
The best way to stop vegetable blight from ruining your tomatoes is to prevent it. Here are five things you can do to help stop blight before it starts.
Water the soil, not the plant. Dry leaves are not great environments for fungal spores. Additionally, any spores in the soil can splash up onto plant leaves when you water from above.
Use mulch. Again, affected soil can splash onto plant leaves or get carried by birds or other critters. Mulch creates a barrier that can prevent the transfer of infected soil.
Plant-resistant varieties. Though there is no complete immunity from vegetable blight, resistant varieties are less likely to become infected.
Use tomato cages. These help prevent leaves from lying on the ground and improve air circulation, so there’s nowhere for blight spores to hide.
Buy disease-free seeds and seedlings. This seems obvious enough, but we’ve all been guilty of missing the obvious.
Bonus Tip: I’m adding this as a bonus because I can’t vouch for it, but some sources suggest baking soda is an excellent natural fungicide to use for blight. Just mix a teaspoon of baking soda with a quart of water and a couple of drops of dish soap. Hey, if baking soda can make my buttermilk biscuits rise, clean my toilet, deodorize my refrigerator, and clear a clogged drain, who am I to doubt that it could take care of vegetable blight?
Want to Grow Healthy Tomatoes?
In our Tomato Collection, we give you everything you need to know about growing and enjoying this versatile food. From the history and background of the mighty tomato to specific advice about soil requirements and fertilizer … from watering techniques to details about avoiding tomato rot … from easy-to-make and delicious recipes that will allow you to enjoy the fruits of your gardening labor to the nutritional benefits of tomatoes—get it all in our Tomato Collection right now!
Have you had to deal with tomato blight? What steps did you take to solve the issue?
Discover 7 top tips for growing, harvesting, and enjoying tomatoes from your home garden—when you access the FREE guide The Best Way to Grow Tomatoes, right now!
I am interested in more information about your bonus tip. What do I do with the baking soda solution, spray it on the leaves tops and bottoms, on the fruits and soil?
Sorry, yes, a light spray all over the whole plant can stop the spread of blight. Do it at night, or after the sun has gone down.